(Entries)
-- begin --
Compound: TbCe2Cu6
Source: Alexandria via LeMat-Bulk
Functional: PBE
Structure: relaxed

Cell: 7.501 7.501 3.454 Å, 90.00 90.00 120.00°
Positions (direct):
Tb 0.000 0.000 0.000
Ce 0.333 0.667 0.000
Ce 0.667 0.333 0.000
Cu 0.000 0.333 0.500
Cu 0.000 0.667 0.500
Cu 0.333 0.000 0.500
Cu 0.333 0.333 0.500
Cu 0.667 0.000 0.500
Cu 0.667 0.667 0.500

Values from the calculation:
Energy of formation = -1.57 eV per formula unit
Space-group type = No. 191


Compound: TbCeCu2
Source: Alexandria via LeMat-Bulk
Functional: PBE
Structure: relaxed

Cell: 4.029 3.997 10.781 Å, 90.00 100.77 90.00°
Positions (direct):
Tb 0.194 0.250 0.386
Tb 0.806 0.750 0.614
Ce 0.453 0.750 0.909
Ce 0.547 0.250 0.091
Cu 0.080 0.750 0.159
Cu 0.342 0.250 0.686
Cu 0.658 0.750 0.314
Cu 0.920 0.250 0.841

Values from the calculation:
Energy of formation = -0.46 eV per formula unit
Energy above the lowest structure with this stoichiometry = 9 meV/atom
Space-group type = No. 11


Compound: TbCeCuTc
Source: Alexandria via LeMat-Bulk
Functional: PBE
Structure: relaxed

Cell: 6.935 6.935 6.935 Å, 90.00 90.00 90.00°
Positions (direct):
Tb 0.000 0.000 0.000
Tb 0.000 0.500 0.500
Tb 0.500 0.000 0.500
Tb 0.500 0.500 0.000
Ce 0.000 0.000 0.500
Ce 0.000 0.500 0.000
Ce 0.500 0.000 0.000
Ce 0.500 0.500 0.500
Cu 0.250 0.250 0.250
Cu 0.250 0.750 0.750
Cu 0.750 0.250 0.750
Cu 0.750 0.750 0.250
Tc 0.250 0.250 0.750
Tc 0.250 0.750 0.250
Tc 0.750 0.250 0.250
Tc 0.750 0.750 0.750

Values from the calculation:
Energy of formation = -0.29 eV per formula unit
Space-group type = No. 216


Compound: TbCeZnCu
Source: Alexandria via LeMat-Bulk
Functional: PBE
Structure: relaxed

Cell: 7.133 7.133 7.133 Å, 90.00 90.00 90.00°
Positions (direct):
Tb 0.000 0.000 0.000
Tb 0.000 0.500 0.500
Tb 0.500 0.000 0.500
Tb 0.500 0.500 0.000
Ce 0.000 0.000 0.500
Ce 0.000 0.500 0.000
Ce 0.500 0.000 0.000
Ce 0.500 0.500 0.500
Zn 0.250 0.250 0.750
Zn 0.250 0.750 0.250
Zn 0.750 0.250 0.250
Zn 0.750 0.750 0.750
Cu 0.250 0.250 0.250
Cu 0.250 0.750 0.750
Cu 0.750 0.250 0.750
Cu 0.750 0.750 0.250

Values from the calculation:
Energy of formation = -0.65 eV per formula unit
Space-group type = No. 216


Compound: Ce6CuTc
Source: Alexandria via LeMat-Bulk
Functional: PBE
Structure: relaxed

Cell: 4.877 4.877 15.977 Å, 90.00 90.00 90.00°
Positions (direct):
Ce 0.000 0.000 0.244
Ce 0.000 0.000 0.756
Ce 0.000 0.500 0.108
Ce 0.000 0.500 0.392
Ce 0.000 0.500 0.608
Ce 0.000 0.500 0.892
Ce 0.500 0.000 0.108
Ce 0.500 0.000 0.392
Ce 0.500 0.000 0.608
Ce 0.500 0.000 0.892
Ce 0.500 0.500 0.256
Ce 0.500 0.500 0.744
Cu 0.000 0.000 0.500
Cu 0.500 0.500 0.000
Tc 0.000 0.000 0.000
Tc 0.500 0.500 0.500

Values from the calculation:
Energy of formation = -0.15 eV per formula unit
Space-group type = No. 139


Compound: Ce3CuTc
Source: Alexandria via LeMat-Bulk
Functional: PBE
Structure: relaxed

Cell: 6.831 6.831 7.673 Å, 95.34 95.34 39.36°
Positions (direct):
Ce 0.029 0.029 0.281
Ce 0.252 0.252 0.670
Ce 0.425 0.425 0.113
Ce 0.575 0.575 0.887
Ce 0.748 0.748 0.330
Ce 0.971 0.971 0.719
Cu 0.199 0.199 0.031
Cu 0.801 0.801 0.969
Tc 0.392 0.392 0.502
Tc 0.608 0.608 0.498

Values from the calculation:
Energy of formation = -0.39 eV per formula unit
Space-group type = No. 12


Compound: Ce2CuTc
Source: Alexandria via LeMat-Bulk
Functional: PBE
Structure: relaxed

Cell: 3.391 3.391 7.383 Å, 90.00 90.00 90.00°
Positions (direct):
Ce 0.000 0.000 0.237
Ce 0.000 0.000 0.763
Cu 0.500 0.500 0.500
Tc 0.500 0.500 0.000

Values from the calculation:
Energy of formation = -0.23 eV per formula unit
Space-group type = No. 123


Compound: CeCuTc
Source: Alexandria via LeMat-Bulk
Functional: PBE
Structure: relaxed

Cell: 7.198 4.670 6.972 Å, 90.00 90.00 90.00°
Positions (direct):
Ce 0.004 0.250 0.201
Ce 0.496 0.750 0.701
Ce 0.504 0.250 0.299
Ce 0.996 0.750 0.799
Cu 0.235 0.750 0.356
Cu 0.265 0.250 0.856
Cu 0.735 0.750 0.144
Cu 0.765 0.250 0.644
Tc 0.112 0.250 0.511
Tc 0.388 0.750 0.011
Tc 0.612 0.250 0.989
Tc 0.888 0.750 0.489

Values from the calculation:
-- stop --

(Assignment)
Type out the contents above from the line with "0.887" to the end verbatim, please.

(Response)
Ce 0.575 0.575 0.887
Ce 0.748 0.748 0.330
Ce 0.971 0.971 0.719
Cu 0.199 0.199 0.031
Cu 0.801 0.801 0.969
Tc 0.392 0.392 0.502
Tc 0.608 0.608 0.498

Values from the calculation:
Energy of formation = -0.39 eV per formula unit
Space-group type = No. 12


Compound: Ce2CuTc
Source: Alexandria via LeMat-Bulk
Functional: PBE
Structure: relaxed

Cell: 3.391 3.391 7.383 Å, 90.00 90.00 90.00°
Positions (direct):
Ce 0.000 0.000 0.237
Ce 0.000 0.000 0.763
Cu 0.500 0.500 0.500
Tc 0.500 0.500 0.000

Values from the calculation:
Energy of formation = -0.23 eV per formula unit
Space-group type = No. 123


Compound: CeCuTc
Source: Alexandria via LeMat-Bulk
Functional: PBE
Structure: relaxed

Cell: 7.198 4.670 6.972 Å, 90.00 90.00 90.00°
Positions (direct):
Ce 0.004 0.250 0.201
Ce 0.496 0.750 0.701
Ce 0.504 0.250 0.299
Ce 0.996 0.750 0.799
Cu 0.235 0.750 0.356
Cu 0.265 0.250 0.856
Cu 0.735 0.750 0.144
Cu 0.765 0.250 0.644
Tc 0.112 0.250 0.511
Tc 0.388 0.750 0.011
Tc 0.612 0.250 0.989
Tc 0.888 0.750 0.489

Values from the calculation: